From the introduction: “In August 2024, the Office for Access to Justice hosted its quarterly convening with national public defense organizations to discuss youth public defense. During the convening Rachel Rossi, Director of the Office of Access to Justice and Liz Ryan, Administrator of Office of Juvenile Justice and Delinquency Prevention, heard from members of…
The Office of Juvenile Justice and Delinquency Prevention and the National Institute of Justice released a fact sheet highlighting key delinquency caseload trends from 2021. There were 437,300 delinquency cases in the United States, down by 39% from 2020, contributing to an overall decline in delinquency cases since its peak in 1997. In 2021, 44%…
This one-page infographic from the Office of Juvenile Justice and Delinquency Prevention illustrates trends in delinquency cases in 2022.
From the memorandum opinion: “Two men on lifetime parole claim they face disability discrimination from two federal agencies that supervise them. So these men, William Mathis and Kennedy Davis (together, “the Parolees”), now sue those federal agencies, the U.S. Parole Commission and the Court Services and Offender Supervision Agency, and the heads of those agencies…
Challenging the Status Quo: Mobilizing Youth Defense Teams to Uphold Youth Rights & Uproot Injustice
This Racial Justice Webinar was hosted by the Gault Center and Georgetown Law’s Juvenile Justice Clinic & Initiative on May 29, 2024. The webinar focused on a collective call to action for the youth defense community to transform the juvenile legal system by centering youth and their constitutional rights to freedom, liberty, and equality. This…
The COVID-19 pandemic, declared a public health emergency in the United States on March 13, 2020, had an impact on the policies, procedures, and data collection activities of juvenile courts relating to the referrals and processing of youth. Mitigation efforts such as stay-at-home orders and school closures impacted the volume and types of law-violating behavior…
From the preliminary statement: “This case, brought by a class of people who are or will be on parole or supervised release in Washington, D.C., challenges the failure of the federal government’s post-conviction supervision system to accommodate individuals with disabilities as required by federal law.”
In January 2024, the National Center for Juvenile Justice released their annual report detailing data trends in juvenile courts across the country from 2005 to 2021. This report provides a national snapshot of various trends in delinquency cases, including key demographic patterns across age, gender, and race at various stages of case processing. Notably, in…
Disposition determines the scope of the juvenile court system’s continued involvement in a child’s life and any infringements upon their liberty. While client-directed advocacy is important at all stages, it is critical at disposition, especially in cases when the client is facing a serious charge, has a significant court history, or is viewed as “high…
An introduction to the role and obligations of the juvenile defender at disposition in juvenile court.
From the introduction: “In the 2020 survey, an overwhelming majority of judges and probation administrators responded that efforts to promote probation practice changes should be grounded in research and be data-driven. In addition, most indicated that support for probation transformation would grow if reforms helped to address the challenge of improving racial/ethnic equity. More specifically,…
From the abstract: “The term wrongful conviction typically refers to the conviction or adjudication of individuals who are factually innocent. Decades of research has rightfully focused on uncovering contributing factors of convictions of factually innocent people to inform policy and practice. However, in this paper we expand our conceptualization of wrongful conviction. Specifically, we propose…
From the introduction: “This brief presents the research case for eliminating the use of correctional confinement or detention in response to technical violations of juvenile probation.”
-- begin --
A PBEsol-optimized structure of LaSb2. Source: Alexandria, functional meta-GGA SCAN.

Properties
formation energy from raw total energies = -260 kJ/mol of formula units

Cell and atoms, written as POSCAR:
```
LaSb2
1.0
-3.203 3.203 4.525
3.203 -3.203 4.525
3.203 3.203 -4.525
La Sb
2 4
Direct
0.250 0.250 0.000
0.750 0.750 0.000
0.166 0.666 0.832
0.334 0.166 0.500
0.666 0.834 0.500
0.834 0.334 0.168
```

A PBEsol-optimized structure of MnSiAg. Source: Alexandria, functional meta-GGA SCAN.

Properties
offset from the most stable computed form = 53 meV per atom
formation energy from raw total energies = 25 kJ/mol of formula units

Cell and atoms, written as POSCAR:
```
MnSiAg
1.0
-1.337 1.337 5.720
1.337 -1.337 5.720
1.337 1.337 -5.720
Mn Si Ag
1 1 1
Direct
0.000 0.000 0.000
0.633 0.633 0.000
0.319 0.319 0.000
```

A PBEsol-optimized structure of MnSe2Cl. Source: Alexandria, functional meta-GGA SCAN.

Properties
offset from the most stable computed form = 0 meV per atom
formation energy from raw total energies = -252 kJ/mol of formula units

Cell and atoms, written as POSCAR:
```
MnSe2Cl
1.0
5.255 -1.697 0.000
5.255 1.697 0.000
-1.366 0.000 5.180
Mn Se Cl
1 2 1
Direct
0.000 0.000 0.000
0.549 0.549 0.359
0.684 0.684 0.066
0.365 0.365 0.723
```

A PBEsol-optimized structure of BeZnTe2. Source: Alexandria, functional meta-GGA SCAN.

Properties
offset from the most stable computed form = 554 meV per atom
formation energy from raw total energies = 37 kJ/mol of formula units

Cell and atoms, written as POSCAR:
```
BeZnTe2
1.0
1.999 1.154 7.593
-1.999 1.154 7.593
0.000 -2.308 7.593
Be Zn Te
1 1 2
Direct
0.000 0.000 0.000
0.500 0.500 0.500
0.391 0.391 0.391
0.609 0.609 0.609
```

* * * * *

[1]
LaMg2CoH after structural relaxation, computed with PBE.

Cell and atoms, written as POSCAR:
```
LaMg2CoH
1.0
4.8786 0.0000 0.0000
0.0000 5.0095 0.0000
0.0000 0.0000 4.8786
H Mg Co La
1 2 1 1
Cartesian
2.4393 2.5048 2.4393
0.0000 0.0000 2.4393
2.4393 0.0000 0.0000
0.0000 0.0000 0.0000
0.0000 2.5048 0.0000
```

Properties
D(E_F) in states/eV/atom: 0.613


[2]
Sr3YGa2O8 after structural relaxation, computed with PBE.

Cell and atoms, written as POSCAR:
```
Sr3YGa2O8
1.0
-4.6772 1.5944 3.2614
1.1467 -5.7343 -0.9264
4.1277 -0.1422 5.9892
Sr Y Ga O
3 1 2 8
Cartesian
1.8409 -3.3822 4.2935
-1.2437 -0.8999 4.0306
0.0000 0.0000 0.0000
2.0639 -0.0711 2.9946
0.0317 -3.3198 1.6684
0.5655 -0.9622 6.6557
3.1402 -3.4269 6.1788
-2.5430 -0.8551 2.1453
1.4442 -4.5318 1.6554
-0.8470 0.2497 6.6687
0.8828 -1.7243 2.1090
-0.2856 -2.5577 6.2151
-0.8457 -3.7512 3.2522
1.4429 -0.5309 5.0720
```

Properties
Formation energy (no corrections) in meV/atom: -2417
D(E_F) in states/eV/atom: 0.912


[3]
Pm3Cd2Sn2 after structural relaxation, computed with PBE.

Cell and atoms, written as POSCAR:
```
Pm3Cd2Sn2
1.0
4.5812 0.0000 0.0000
0.0000 4.3303 0.0000
-2.2906 -2.1652 10.1554
Pm Cd Sn
3 2 2
Cartesian
0.0000 0.0000 0.0000
2.2906 0.0000 3.8399
0.0000 2.1652 6.3155
2.2906 2.1652 1.3528
-- stop --
This resource is part of the Youth Defender Advocacy Program (YDAP) curriculum, a specialized trial advocacy training program for youth defenders.
This brief highlights the United States Supreme Court’s most important language in landmark cases about young people’s rights. These quotes can be used to bolster the arguments and pleadings of juvenile defense attorneys and advocates as they defend youth caught in the legal system.